What to do.
The reader should set down every line below that contains the word "def2-TZVPD".

Contents.
____________
Below is 3 unconnected molecules or ions with the total composition C21H54N9O3P2 in a non-equilibrium geometry, with properties calculated with wB97M-V/def2-TZVPD.

multiplicity: 1
frontier orbital gap: 6.761 eV
HOMO: -0.3537 Ha
max |F|: 0.126 Eh/bohr
charge: +1

XYZ file:
```
89
Properties=species:S:1:pos:R:3:mulliken_charge:R:1
C -4.25563 0.11523 1.32988 -0.754
O -3.45437 0.50290 0.22628 -0.438
C -2.90944 -0.61282 -0.47887 -0.769
C -1.79912 -1.33805 0.33105 -1.009
C -0.98189 -0.26680 1.04436 -0.120
C 0.36523 -0.75566 1.63964 -0.706
C 1.57103 0.07137 1.14357 -0.948
C 1.87976 1.30929 2.00659 -0.436
N 1.17745 2.50926 1.52127 0.097
C 1.73868 3.63749 0.92549 -0.129
N 0.82499 4.48894 0.58734 -0.561
N -0.34915 3.94219 0.97706 0.213
C -0.11664 2.76923 1.54002 -0.178
H -3.90888 0.60362 2.24811 0.261
H -4.23621 -0.95962 1.51253 0.327
H -5.28345 0.44961 1.17856 0.287
H -2.40936 -0.18156 -1.34730 0.389
H -3.72180 -1.28652 -0.75854 0.594
H -1.22937 -1.90961 -0.40190 0.426
H -2.30547 -2.00038 1.03392 0.275
H -1.59491 0.11997 1.85748 0.069
H -0.76652 0.50566 0.30049 0.407
H 0.30632 -0.61897 2.72286 0.355
H 0.53887 -1.81348 1.45248 0.495
H 2.45963 -0.55685 1.14128 0.431
H 1.35484 0.43332 0.13595 0.466
H 2.94036 1.52713 1.87604 0.196
H 1.73817 1.14927 3.07312 0.387
H 2.79863 3.76516 0.77670 0.561
H -1.27048 4.33578 0.85539 0.243
H -0.92402 2.17274 1.93371 0.545
O 5.82865 3.37223 3.67764 -0.932
P 6.92853 4.09956 2.95352 0.813
N 6.01287 4.83374 1.69757 0.455
C 6.23597 4.73266 0.27073 -1.110
C 4.91174 5.69065 2.09832 -1.269
N 7.82516 2.74379 2.41231 0.164
C 8.31806 2.54698 1.06269 -0.998
C 7.52039 1.45564 3.02443 -0.945
N 8.32137 5.10638 2.70613 -0.047
C 9.38356 4.84488 3.71734 -1.094
C 8.08962 6.56631 2.72337 -1.028
H 7.27493 4.92381 -0.00922 0.368
H 5.64918 5.47631 -0.27081 0.453
H 5.94314 3.75049 -0.11892 0.221
H 5.24081 6.71302 2.32842 0.295
H 4.41364 5.29838 2.98882 0.341
H 4.15195 5.75729 1.31572 0.438
H 7.53358 2.18389 0.38709 0.280
H 9.12101 1.80544 1.06055 0.376
H 8.75835 3.45208 0.64921 0.257
H 6.61720 0.99996 2.59837 0.222
H 7.38276 1.55561 4.09711 0.320
H 8.35632 0.76799 2.88066 0.328
H 9.05471 5.11526 4.72445 0.354
H 10.27700 5.41895 3.47566 0.417
H 9.66474 3.79527 3.72352 0.317
H 7.55949 6.89542 3.62048 0.366
H 7.52998 6.88629 1.84629 0.275
H 9.04338 7.09000 2.67859 0.381
O -5.40127 -4.10674 -1.60932 -0.786
P -6.10017 -4.96707 -2.62314 0.769
N -5.45853 -4.31935 -4.07619 0.162
C -6.19657 -3.80592 -5.21074 -0.978
C -4.01234 -4.31900 -4.22539 -1.133
N -7.70954 -4.44447 -2.33890 0.154
C -8.66529 -4.06713 -3.36192 -1.022
C -7.95546 -3.67922 -1.12253 -1.038
N -6.71414 -6.40852 -3.37751 -0.028
C -7.30828 -7.34561 -2.38545 -1.095
C -5.74571 -7.20086 -4.16273 -1.010
H -6.98554 -4.48591 -5.54396 0.302
H -5.54321 -3.67448 -6.07382 0.441
H -6.64058 -2.82836 -4.99728 0.243
H -3.63488 -5.28528 -4.59036 0.296
H -3.52007 -4.11401 -3.27203 0.285
H -3.68190 -3.54781 -4.92150 0.467
H -8.49534 -3.04757 -3.72746 0.296
H -9.68119 -4.10615 -2.95901 0.363
H -8.66045 -4.75652 -4.20356 0.280
H -7.65656 -2.62880 -1.22880 0.300
H -7.42140 -4.10622 -0.27823 0.300
H -9.01753 -3.71399 -0.86898 0.345
H -6.55432 -7.72755 -1.69094 0.351
H -7.76939 -8.18898 -2.89833 0.414
H -8.08541 -6.85525 -1.80496 0.316
H -4.84436 -7.44392 -3.59412 0.363
H -5.45716 -6.67845 -5.07287 0.274
H -6.20876 -8.13296 -4.48453 0.375
```
____________

Result.
Below is 3 unconnected molecules or ions with the total composition C21H54N9O3P2 in a non-equilibrium geometry, with properties calculated with wB97M-V/def2-TZVPD.